One of the objectives of MAPSSS as an association is to voice the concerns and recommendations of ALL parents with the relevant authorities. Different groups of parents have different positions, concerns, and suggestions regarding the re-opening of schools in the coming weeks.

In view of this, MAPSSS Committee followed the discussions on MAPSSS Official Facebook Group and other Facebook pages and took note of the emails and messages that parents and guardians have sent us. MAPSSS forwarded the questions and suggestions to the Ministry for Education and Employment (MEDE) to discuss with the Health Authorities. MAPSSS Committee trusts that depending on the rate of COVID-19 spread within the community, the Health Promotion and Disease Prevention Directorate will provide the necessary guidance on which of the three scenarios taken into consideration by MEDE, is best to adapt to proceed with the education of our children.

MAPSSS would like to bring to the attention of MEDE and the Health Authorities a list of questions raised by parents through different channels, including social media and emails. We kindly request that these questions are addressed when discussing the three scenarios that are being taken into consideration regarding the schooling of our children in the coming months.

Some parents prefer that their children would return to the school routine, whilst others wish their children to have online lessons; the common underpinning concern of the parents is the safety and well-being of the children and their educators.

Notwithstanding the different positions of the parents, all parents wish that their children are offered a safe environment to proceed with their education. Our role as an association is to bring to the attention of MEDE the concerns of parents to facilitate communication between the different parties.

The parents’ questions and recommendations are organised as points according to the three scenarios being taken into consideration by MEDE regarding the schooling system to adopt for the scholastic year 2020-2021. These points are an addition to the issues raised during MAPSSS meeting with Dr. Frank Fabri on 6th August and the follow-up email sent on 12th August 2020.

  • During the shut-down of the schools from March till June 2020, not all the students needing technical support, such as internet access, tablets, computers, etc, have been reached. How does MEDE intend to overcome the issue of students that “disappeared off the radar”, which have not been in touch with their teachers/schools since the beginning of the outbreak and/or that have not been provided the technical support?
  • During the past months, have educators been offered training to online teaching?
  • MAPSSS believes that educators (teachers and LSEs) should be provided with more detailed guidelines on the frequency and how they are to communicate with their students online, yet in-person.
  • Following the home-schooling experience during the last term, MAPSSS recommends a standardisation in the use of online tools by teachers and urges that every class is provided with the necessary support to follow up on their curricula.
  • Should this scenario happen when the new scholastic year starts, MAPSSS believes that students should be supported on a psychological level due to the negative impact of the pandemic on children’s mental health, as suggested in several academic research papers.

Computed, not measured: an isolated molecule of C19H20N6 at a distorted geometry, with the ωB97M-V functional and the def2-TZVPD basis.

Values from the calculation:
E_LUMO = -0.0011 Eh
Spin multiplicity = 1
E_tot = -1064.5861 hartree
HOMO energy = -7.676 eV
ΔE to the lowest compared entry with this formula, charge and spin = 0.000 eV
Structure (SMILES) = CCCCn1c(/C=N/Nc2nc3ccccc3[nH]2)nc2ccccc21
Frontier orbital gap = 7.65 eV

XYZ file:
```
45
Properties=species:S:1:pos:R:3:mulliken_charge:R:1
C -2.710 -1.855 -1.505 -1.44
C -1.487 -0.945 -1.528 -0.53
C -1.484 0.075 -0.388 -0.39
C -1.134 -0.558 0.963 -1.03
N -1.239 0.394 2.034 0.33
C -0.280 1.267 2.494 0.16
C 1.040 1.415 1.967 -0.22
N 1.422 0.858 0.878 0.15
N 2.668 1.043 0.447 -0.45
C 3.077 0.520 -0.742 0.29
N 4.286 0.631 -1.218 -0.87
C 4.253 -0.033 -2.422 0.10
C 5.255 -0.237 -3.361 -0.66
C 4.933 -0.951 -4.498 -0.38
C 3.651 -1.455 -4.711 -0.59
C 2.638 -1.265 -3.789 -0.63
C 2.955 -0.551 -2.649 0.67
N 2.221 -0.180 -1.546 0.13
N -0.696 1.992 3.510 -0.80
C -1.983 1.614 3.736 0.34
C -2.902 2.060 4.684 -0.73
C -4.155 1.489 4.678 -0.44
C -4.505 0.496 3.758 -0.70
C -3.614 0.037 2.811 -0.75
C -2.348 0.605 2.809 0.94
H -2.698 -2.523 -2.363 0.42
H -3.623 -1.266 -1.544 0.34
H -2.730 -2.466 -0.606 0.33
H -1.469 -0.407 -2.479 0.42
H -0.586 -1.562 -1.474 0.34
H -2.468 0.542 -0.318 0.48
H -0.756 0.864 -0.590 0.37
H -1.815 -1.383 1.183 0.52
H -0.109 -0.938 0.940 0.17
H 1.695 2.063 2.552 0.47
H 3.341 1.603 0.969 0.31
H 6.247 0.153 -3.197 0.43
H 5.692 -1.126 -5.247 0.37
H 3.444 -2.007 -5.616 0.38
H 1.644 -1.655 -3.952 0.41
H 1.248 -0.348 -1.354 0.15
H -2.627 2.827 5.390 0.44
H -4.892 1.812 5.399 0.38
H -5.502 0.080 3.791 0.39
H -3.897 -0.727 2.103 0.39
```

----------

1.
{
  "formula": "C43H51F2LaN8O6",
  "method": "ωB97M-V/def2-TZVPD",
  "homo_ev": [-1.2, -1.2],
  "total_energy_ha": -2790.1690,
  "max_force_ha_per_bohr": 0.0313,
  "homo_lumo_gap_ev": [5.0, 5.0],
  "total_charge": -2,
  "symbols": ["La", "C", "C", "C", "C", "C", "C", "C", "N", "C", "C", "C", "C", "C", "C", "C", "C", "C", "C", "N", "C", "C", "C", "N", "C", "C", "C", "C", "C", "C", "C", "C", "C", "C", "C", "C", "C", "C", "N", "C", "C", "H", "H", "H", "H", "H", "H", "H", "H", "H", "H", "H", "H", "H", "H", "H", "H", "H", "H", "H", "H", "H", "H", "H", "H", "H", "H", "H", "H", "H", "H", "H", "H", "H", "H", "H", "H", "H", "H", "H", "H", "H", "H", "H", "H", "N", "N", "C", "O", "O", "H", "H", "H", "O", "C", "O", "C", "C", "N", "N", "C", "C", "O", "O", "H", "H", "H", "F", "C", "F", "H"],

Queries regarding Kinder/Primary classes:

  • Will wash hand basins and soap for frequent washing of hands be available in classrooms of all kindergarten and primary students?
  • Will Breakfast Club service be available and if so, what kind of protocols will be set up?
  • Will the prefabricated mobile classrooms similar to those used in St-Paul’s Bay Primary school still be operational? If so, does the ventilation system conform with the recommendation of the health authority?

Queries regarding Secondary classes:

  • We note that student clusters will be more difficult to organise due to the frequent change of classes and groups according to subjects and tracks. How does MEDE plan to overcome this issue to guarantee contact tracing and avoid a whole school being put in quarantine if one positive COVID-19 case is found?
  • How will break time be organised in Secondary schools, considering that some schools are already reaching their full capacity and social distancing might be difficult to implement?

Common issues in Primary and Secondary:

  • Will students be requested to wear a facemask/visor?
  • In the eventuality of a student’s parent/guardian to be found positive to Covid-19, will the class be automatically in quarantine?
  • Will a swab test negative result be required from the students and, if so, how frequently will these tests be carried out?
  • In the eventuality of a teacher to be found positive to Covid-19, what will be the protocol in terms of quarantine for the class?
  • If a teacher is in quarantine, will s/he be replaced by another teacher if no quarantine is required for the students? Will online teaching be provided in case a teacher is in quarantine?
  • If a student does not attend school for medical reasons – not related to COVID-19 – will a medical certificate from a GP be sufficient or will a swab test be required?
  • Even before the outbreak of the pandemic, the lack of replacement teachers was already a chronic issue for many schools. How would the absence of a teacher be handled, and what will be organised for the students since clusters can’t be mixed?
  • The proposed system of bubbles/clusters would not allow shared LSEs who assist children in different classes as this would break the idea of a cluster. How will this be tackled?
  • How will a student be supported if s/he will be in quarantine? One cannot dismiss the fact that teachers and students might be in quarantine for a number of times. This will lead to fragmentation of the teaching-learning process that may have serious implications for students, especially for those preparing for high-stake exams as the Sec exams.
  • With regard to school transport, how will the clusters be organised considering the fact that children from different schools/different classes will be sharing the same bus? How will social distancing work inside minibuses and coaches? Will supervision be set up to assure the respect of the protocols during transport time and arrival at school?
  • How often are the classes to be sanitised? Will school maintenance and cleaning staff be provided with training and the necessary equipment to ensure that schools are being disinfected properly and regularly?

Vulnerable students:

  • What are the criteria for a student to be considered as a “vulnerable person” and what will be the protocol that will be set up to identify the vulnerable person? Depending on how the criteria are defined, how many students and educators will be affected? How is this going to affect the student – educator ratio?
  • Will vulnerable children be exempted from attending schooling on-site? If a parent or sibling of a student is a vulnerable person, will the student be exempted from attending school?
  • What will be organised to allow vulnerable children or children with vulnerable parents/sibling to follow their curricula?
  • MAPSSS would also like to bring to the attention of MEDE the fact that the term “vulnerable children” also includes migrant children in open centers managed by the Agency for the Welfare of Asylum Seekers (AWAS, MHAS). These children also have the right to benefit from proper schooling, should this be online or in class. For online teaching, the Government (MEDE, in collaboration with MHAS) should ensure that OC resident students have access to the necessary hard- and software, as well as Internet access, which has not been the case for a number of children and youth during the lockdown that commenced mid-March.
  • MEDE should particularly pay attention not to create any situation that might put vulnerable children in a disadvantageous position.

It is not clear how the hybrid system will work out. Parents need more information on the hybrid system option, so they will be able to organise themselves and possibly make arrangements with their place of work and families. One cannot ignore that parents cannot necessarily rely on the support of their elderly family members to take care of the children and transport them to and from school to avoid exposing the elderly to further risks of contagion.

MAPSSS recommends that:

  • In view of the negative impact of the pandemic on children’s mental health, as suggested in several academic research papers, a mental healthcare support unit is organised specifically to support the students. Suffice to say, this unit would need to be adequately staffed and trained.
  • In view of the financial burden and the current uncertainties, MAPSSS believes that the mandatory introduction of school uniforms in specific years should be postponed. The choice should be left in the hand of the parents and flexibility should be encouraged.
  • MAPSSS recommends that additional programmes are offered online in order to allow students to revise last term programmes. Particular attention should be paid to Maltese as Foreign Language and the recent experience of online teaching should be enforced for such a subject that unfortunately suffers a lack of teachers.
  • MIS platform is currently not accessible to some parents and this situation does not allow students to revise previous work MAPSSS questions the fact that the notes/assignments done during the past scholastic year are not showing in MIS.
  • In case of a delay in the re-opening of the schools, as suggested in a paper published in the Times of Malta, MAPSSS requests that the service of Klabb 3-16 for children of working parents be extended until the official re-opening of schools.
  • Any system that requires working parents to stay at home to assist their children in homeschooling needs to be discussed with the Employer Associations to ensure that parents are given the opportunity to telework (where possible) and that no disciplinary action is taken against the parents where teleworking is not possible.

Considering that MEDE is responsible for both the education sector and the employment sector, MAPSSS would like to ask:

  • How will parents of vulnerable children be supported in terms of a financial loss if they need to quit their jobs to stay at home to home-school their child/children?
  • Does MEDE plan to provide financial assistance to parents in case of a mandatory quarantine?
  • Are any guidelines/agreements being discussed with employers as to how to support parents in case their children are in quarantine?


  • Will parents be given the possibility to choose whether to home-school their children for the coming year?
  • Will it be possible for parents to choose whether to have their children attending school or to have remote online lessons?

MAPSSS notes that the circumstances for the primary and the secondary cycles of the education system are very distinct. Furthermore, the World Health Organisation has published different guidelines for 2-5, 6-11, 12+. In view of this, MEDE may consider different approaches for the three scenarios of the two cycles.

MAPSSS requests that the final decision on the re-opening of schools is to be communicated with parents as soon as possible and not later than Friday 11th September, in order to allow parents and educators to organise themselves accordingly – in terms of professional arrangements but also in terms of logistics should home-schooling be resumed. For the sake of the children’s wellbeing, parents should be in a position to have the necessary time to explain and prepare their children for their new learning reality.

MAPSSS also strongly recommends that MEDE communicates with parents in a more constant and wider way. Formal announcements, protocols, guidelines should be made public on national TV and radio and not limited to MEDE’s website or via Facebook pages. These should be done in both official languages.

Our questions and comments are forwarded to you in the spirit of collaboration for the wellbeing of the children.